Wanted
Copy the whole of the data further down exactly.
Source
'''
#i
This record from the Open Molecules 2025 dataset describes one molecule with the formula C17H22N4O5. The level of theory is ωB97M-V/def2-TZVPD.

- total charge = 0
- spin multiplicity = 1
- frontier orbital gap (eV) = 9.87
- molecular weight (g mol⁻¹) = 362.4
- SMILES = C#CCOC(=O)CNC(=O)[C@H](CCCOC)NC(=O)c1cnc(C)cn1

Last column: Löwdin charge in e.
Element x y z (Å)
C: -5.2419 -2.4727 -3.9153  0.14
C: -5.3939 -1.2860 -3.9129  -0.09
C: -5.5855 0.1610 -3.9145  -0.16
O: -5.1495 0.7562 -2.6787  0.01
C: -3.8272 0.9468 -2.5649  -0.47
O: -3.0280 0.7007 -3.4276  0.13
C: -3.4861 1.5513 -1.2226  -0.06
N: -2.0600 1.6646 -1.0719  0.09
C: -1.4114 1.0609 -0.0419  -0.43
O: -1.9810 0.6093 0.9342  0.08
C: 0.0956 0.9421 -0.2176  -0.22
C: 0.3889 -0.2907 -1.0861  -0.12
C: 1.8756 -0.4996 -1.3420  -0.16
C: 2.1314 -1.6703 -2.2665  -0.25
O: 1.6402 -2.8494 -1.6631  -0.19
C: 1.8376 -3.9816 -2.4743  -0.12
N: 0.6865 0.8602 1.0969  0.13
C: 1.8839 1.4083 1.3857  -0.45
O: 2.5525 2.0527 0.5944  0.07
C: 2.3018 1.2551 2.8230  -0.19
C: 2.5360 2.3845 3.5988  -0.05
N: 2.8562 2.2971 4.8811  0.13
C: 2.9539 1.0730 5.4029  -0.32
C: 3.3327 0.9631 6.8478  -0.04
C: 2.6967 -0.0497 4.6212  -0.08
N: 2.3495 0.0347 3.3421  0.14
H: -5.1028 -3.5268 -3.9146  0.03
H: -5.0470 0.6121 -4.7468  0.13
H: -6.6423 0.4062 -3.9864  0.13
H: -3.9906 2.5183 -1.1500  0.14
H: -3.8732 0.9237 -0.4203  0.14
H: -1.5334 1.8656 -1.9076  0.14
H: 0.4998 1.8359 -0.6987  0.16
H: -0.0294 -1.1723 -0.5949  0.13
H: -0.1374 -0.1786 -2.0404  0.12
H: 2.3127 0.4002 -1.7817  0.12
H: 2.3971 -0.6748 -0.3989  0.12
H: 1.6303 -1.5130 -3.2337  0.13
H: 3.2069 -1.7716 -2.4645  0.12
H: 1.4375 -4.8422 -1.9425  0.09
H: 1.3166 -3.8798 -3.4341  0.09
H: 2.9030 -4.1480 -2.6737  0.09
H: 0.1763 0.3497 1.8019  0.15
H: 2.4693 3.3731 3.1606  0.12
H: 3.3425 -0.0736 7.1800  0.07
H: 4.3220 1.3926 7.0077  0.08
H: 2.6298 1.5260 7.4618  0.08
H: 2.7577 -1.0442 5.0481  0.11

#ii
This record from the Open Molecules 2025 dataset describes one molecule with the formula C17H22N4O5. The level of theory is ωB97M-V/def2-TZVPD.

- total charge = 0
- spin multiplicity = 1
- frontier orbital gap (eV) = 9.89
- molecular weight (g mol⁻¹) = 362.4
- SMILES = C#CCOC(=O)CNC(=O)[C@H](CCCOC)NC(=O)c1cnc(C)cn1

Last column: Löwdin charge in e.
Element x y z (Å)
C: -5.4804 -2.5533 -2.7312  0.14
C: -5.4807 -1.4402 -3.1695  -0.09
C: -5.4860 -0.0835 -3.7074  -0.17
O: -5.0003 0.8713 -2.7465  0.01
C: -3.6637 0.9407 -2.6264  -0.46
O: -2.8876 0.3074 -3.2876  0.13
C: -3.2811 1.9603 -1.5719  -0.07
N: -1.8642 1.9717 -1.3366  0.08
C: -1.3265 1.2795 -0.2985  -0.43
O: -1.9907 0.8358 0.6208  0.08
C: 0.1809 1.0873 -0.3620  -0.23
C: 0.4878 -0.1024 -1.2827  -0.12
C: 1.9822 -0.3406 -1.4499  -0.17
C: 2.2726 -1.5073 -2.3688  -0.25
O: 1.7450 -2.6851 -1.7935  -0.19
C: 1.9551 -3.8133 -2.6078  -0.12
N: 0.6507 0.8727 0.9883  0.12
C: 1.8012 1.4418 1.4340  -0.43
O: 2.5500 2.0796 0.7222  0.08
C: 2.1141 1.1729 2.8859  -0.18
C: 1.7162 0.0074 3.5300  -0.07
N: 2.0060 -0.2321 4.8038  0.13
C: 2.6977 0.6999 5.4533  -0.32
C: 3.0233 0.4511 6.8935  -0.04
C: 3.1003 1.8635 4.7946  -0.07
N: 2.8195 2.1013 3.5251  0.15
H: -5.4739 -3.5409 -2.3376  0.03
H: -4.8783 -0.0341 -4.6100  0.13
H: -6.5012 0.2350 -3.9316  0.13
H: -3.6364 2.9395 -1.8977  0.14
H: -3.7863 1.7168 -0.6391  0.14
H: -1.2598 2.2071 -2.1060  0.15
H: 0.6696 1.9869 -0.7451  0.15
H: 0.0122 -0.9941 -0.8686  0.13
H: 0.0266 0.0750 -2.2599  0.12
H: 2.4643 0.5553 -1.8494  0.13
H: 2.4420 -0.5356 -0.4789  0.12
H: 1.8174 -1.3418 -3.3570  0.13
H: 3.3551 -1.6170 -2.5178  0.12
H: 1.5261 -4.6727 -2.0969  0.09
H: 1.4676 -3.6963 -3.5831  0.09
H: 3.0245 -3.9918 -2.7730  0.09
H: -0.0483 0.5389 1.6361  0.13
H: 1.1704 -0.7671 3.0032  0.12
H: 3.6246 1.2567 7.3113  0.07
H: 2.1043 0.3607 7.4733  0.08
H: 3.5669 -0.4879 6.9960  0.08
H: 3.6712 2.6208 5.3208  0.11

Q: Which of them is the least stable? A: #ii.


# 1
Computed, not measured: 2 unconnected molecules or ions with the total composition C60H74N5O3, with wB97M-V/def2-TZVPD.
'''
Outcome
#i
This record from the Open Molecules 2025 dataset describes one molecule with the formula C17H22N4O5. The level of theory is ωB97M-V/def2-TZVPD.

- total charge = 0
- spin multiplicity = 1
- frontier orbital gap (eV) = 9.87
- molecular weight (g mol⁻¹) = 362.4
- SMILES = C#CCOC(=O)CNC(=O)[C@H](CCCOC)NC(=O)c1cnc(C)cn1

Last column: Löwdin charge in e.
Element x y z (Å)
C: -5.2419 -2.4727 -3.9153  0.14
C: -5.3939 -1.2860 -3.9129  -0.09
C: -5.5855 0.1610 -3.9145  -0.16
O: -5.1495 0.7562 -2.6787  0.01
C: -3.8272 0.9468 -2.5649  -0.47
O: -3.0280 0.7007 -3.4276  0.13
C: -3.4861 1.5513 -1.2226  -0.06
N: -2.0600 1.6646 -1.0719  0.09
C: -1.4114 1.0609 -0.0419  -0.43
O: -1.9810 0.6093 0.9342  0.08
C: 0.0956 0.9421 -0.2176  -0.22
C: 0.3889 -0.2907 -1.0861  -0.12
C: 1.8756 -0.4996 -1.3420  -0.16
C: 2.1314 -1.6703 -2.2665  -0.25
O: 1.6402 -2.8494 -1.6631  -0.19
C: 1.8376 -3.9816 -2.4743  -0.12
N: 0.6865 0.8602 1.0969  0.13
C: 1.8839 1.4083 1.3857  -0.45
O: 2.5525 2.0527 0.5944  0.07
C: 2.3018 1.2551 2.8230  -0.19
C: 2.5360 2.3845 3.5988  -0.05
N: 2.8562 2.2971 4.8811  0.13
C: 2.9539 1.0730 5.4029  -0.32
C: 3.3327 0.9631 6.8478  -0.04
C: 2.6967 -0.0497 4.6212  -0.08
N: 2.3495 0.0347 3.3421  0.14
H: -5.1028 -3.5268 -3.9146  0.03
H: -5.0470 0.6121 -4.7468  0.13
H: -6.6423 0.4062 -3.9864  0.13
H: -3.9906 2.5183 -1.1500  0.14
H: -3.8732 0.9237 -0.4203  0.14
H: -1.5334 1.8656 -1.9076  0.14
H: 0.4998 1.8359 -0.6987  0.16
H: -0.0294 -1.1723 -0.5949  0.13
H: -0.1374 -0.1786 -2.0404  0.12
H: 2.3127 0.4002 -1.7817  0.12
H: 2.3971 -0.6748 -0.3989  0.12
H: 1.6303 -1.5130 -3.2337  0.13
H: 3.2069 -1.7716 -2.4645  0.12
H: 1.4375 -4.8422 -1.9425  0.09
H: 1.3166 -3.8798 -3.4341  0.09
H: 2.9030 -4.1480 -2.6737  0.09
H: 0.1763 0.3497 1.8019  0.15
H: 2.4693 3.3731 3.1606  0.12
H: 3.3425 -0.0736 7.1800  0.07
H: 4.3220 1.3926 7.0077  0.08
H: 2.6298 1.5260 7.4618  0.08
H: 2.7577 -1.0442 5.0481  0.11

#ii
This record from the Open Molecules 2025 dataset describes one molecule with the formula C17H22N4O5. The level of theory is ωB97M-V/def2-TZVPD.

- total charge = 0
- spin multiplicity = 1
- frontier orbital gap (eV) = 9.89
- molecular weight (g mol⁻¹) = 362.4
- SMILES = C#CCOC(=O)CNC(=O)[C@H](CCCOC)NC(=O)c1cnc(C)cn1

Last column: Löwdin charge in e.
Element x y z (Å)
C: -5.4804 -2.5533 -2.7312  0.14
C: -5.4807 -1.4402 -3.1695  -0.09
C: -5.4860 -0.0835 -3.7074  -0.17
O: -5.0003 0.8713 -2.7465  0.01
C: -3.6637 0.9407 -2.6264  -0.46
O: -2.8876 0.3074 -3.2876  0.13
C: -3.2811 1.9603 -1.5719  -0.07
N: -1.8642 1.9717 -1.3366  0.08
C: -1.3265 1.2795 -0.2985  -0.43
O: -1.9907 0.8358 0.6208  0.08
C: 0.1809 1.0873 -0.3620  -0.23
C: 0.4878 -0.1024 -1.2827  -0.12
C: 1.9822 -0.3406 -1.4499  -0.17
C: 2.2726 -1.5073 -2.3688  -0.25
O: 1.7450 -2.6851 -1.7935  -0.19
C: 1.9551 -3.8133 -2.6078  -0.12
N: 0.6507 0.8727 0.9883  0.12
C: 1.8012 1.4418 1.4340  -0.43
O: 2.5500 2.0796 0.7222  0.08
C: 2.1141 1.1729 2.8859  -0.18
C: 1.7162 0.0074 3.5300  -0.07
N: 2.0060 -0.2321 4.8038  0.13
C: 2.6977 0.6999 5.4533  -0.32
C: 3.0233 0.4511 6.8935  -0.04
C: 3.1003 1.8635 4.7946  -0.07
N: 2.8195 2.1013 3.5251  0.15
H: -5.4739 -3.5409 -2.3376  0.03
H: -4.8783 -0.0341 -4.6100  0.13
H: -6.5012 0.2350 -3.9316  0.13
H: -3.6364 2.9395 -1.8977  0.14
H: -3.7863 1.7168 -0.6391  0.14
H: -1.2598 2.2071 -2.1060  0.15
H: 0.6696 1.9869 -0.7451  0.15
H: 0.0122 -0.9941 -0.8686  0.13
H: 0.0266 0.0750 -2.2599  0.12
H: 2.4643 0.5553 -1.8494  0.13
H: 2.4420 -0.5356 -0.4789  0.12
H: 1.8174 -1.3418 -3.3570  0.13
H: 3.3551 -1.6170 -2.5178  0.12
H: 1.5261 -4.6727 -2.0969  0.09
H: 1.4676 -3.6963 -3.5831  0.09
H: 3.0245 -3.9918 -2.7730  0.09
H: -0.0483 0.5389 1.6361  0.13
H: 1.1704 -0.7671 3.0032  0.12
H: 3.6246 1.2567 7.3113  0.07
H: 2.1043 0.3607 7.4733  0.08
H: 3.5669 -0.4879 6.9960  0.08
H: 3.6712 2.6208 5.3208  0.11

Q: Which of them is the least stable? A: #ii.


# 1
Computed, not measured: 2 unconnected molecules or ions with the total composition C60H74N5O3, with wB97M-V/def2-TZVPD.